**Job:**
Return every line below that contains the word "charge".

**Given:**
~~~
No. 1
{
  "formula": "C63H54IN2O5P2S3Ti",
  "method": "ωB97M-V with the def2-TZVPD basis set",
  "lumo_energy_ha": [0.076, 0.076],
  "homo_ev": [-4.544, -4.546],
  "fmax_ev_per_a": 0.8,
  "charge": -1,
  "orbital_gap_ev": [6.621, 6.623],
  "elements": ["Ti", "O", "S", "C", "C", "C", "C", "C", "C", "C", "C", "C", "C", "P", "C", "C", "C", "C", "C", "C", "C", "C", "C", "C", "C", "C", "C", "C", "C", "C", "C", "C", "C", "C", "C", "C", "C", "C", "P", "C", "C", "C", "C", "C", "C", "C", "C", "C", "C", "C", "C", "C", "C", "H", "H", "H", "H", "H", "H", "H", "H", "H", "H", "H", "H", "H", "H", "H", "H", "H", "H", "H", "H", "H", "H", "H", "H", "H", "H", "H", "H", "H", "H", "H", "H", "H", "H", "H", "H", "C", "C", "C", "S", "O", "C", "C", "C", "H", "H", "H", "H", "H", "H", "H", "H", "H", "H", "H", "H", "H", "H", "O", "C", "N", "I", "C", "C", "C", "C", "C", "C", "C", "O", "O", "H", "H", "H", "H", "S", "C", "N"],
~~~

**Reply:**
  "charge": -1,